**What to do**
Copy only the last part of the material further down, starting with the line that has "2.32853 0.33".

**File**
____________
24
Properties=species:S:1:pos:R:3:mulliken_charge:R:1 method="wB97M-V/def2-TZVPD" total_energy_ev=-25179.127 e_homo_ev="-6.45 / -8.89" multiplicity=3 lumo_ev="0.7 / -3.1" de_lowest_kcal_mol=0.0
C -5.11380 1.99309 0.70689 -0.19
C -4.08264 1.59351 0.23849 -0.26
C 2.08943 1.98309 -0.62436 -1.13
C 2.25183 0.47149 -0.73438 -0.26
C 2.07993 -0.25450 0.59908 -0.49
C 0.65790 -0.19106 1.17097 -0.75
N -1.76849 -2.05937 -1.01727 -0.21
N -0.30293 -0.88414 0.36204 0.34
Si -0.76494 -2.58207 0.32433 0.15
Si -1.38586 -0.37074 -0.88555 -0.19
H -6.00836 2.42422 1.07448 0.41
H 2.80366 2.39645 0.08447 0.31
H 2.25785 2.45043 -1.59272 0.35
H 1.08610 2.24524 -0.29541 0.27
H 1.52828 0.07868 -1.45221 0.16
H 3.25018 0.24859 -1.11990 0.32
H 2.34001 -1.30843 0.46528 0.27
H 2.76684 0.17469 1.33301 0.37
H 0.34847 0.85054 1.28606 0.33
H 0.66898 -0.64486 2.16848 0.29
H -2.55474 -2.50347 -1.45061 0.24
H -1.45792 -3.02083 1.52638 -0.12
H 0.29755 -3.48146 -0.11390 -0.13
H -0.98731 0.39091 -2.05364 -0.06

81
Properties=species:S:1:pos:R:3:mulliken_charge:R:1 method="wB97M-V/def2-TZVPD" total_energy_ev=-77957.678 e_homo_ev=-9.55 lumo_ev=0.2 de_lowest_kcal_mol=31.0
C 2.22145 0.74392 -2.83173 -0.36
O 1.55420 0.92064 -4.07455 -0.33
P 0.86399 -0.26304 -4.85217 0.91
O 0.61197 0.07009 -6.26234 -0.78
O 1.82342 -1.51394 -4.43929 -0.17
C 2.13110 -2.42171 -5.54060 -0.78
O -0.51305 -0.52035 -4.08143 -0.20
C -1.04954 -1.85218 -4.07305 -0.64
H 1.86970 -0.15452 -2.31997 0.07
H 2.03262 1.52594 -2.09819 0.23
H 3.29607 0.61327 -2.93911 0.27
H 3.03321 -2.94148 -5.23321 0.22
H 2.21078 -1.93700 -6.51062 0.38
H 1.28582 -3.10948 -5.58928 0.29
H -2.12311 -1.79133 -4.22888 0.31
H -0.73989 -2.35627 -3.16083 0.18
H -0.69505 -2.46963 -4.90175 0.31
C -0.55559 2.08163 -0.32282 -0.33
O -0.82177 0.69458 -0.15009 -0.31
P -0.06951 -0.18171 0.95597 0.15
O 0.03360 0.46449 2.26732 -0.74
O 1.34642 -0.48711 0.23115 0.83
C 2.10673 -1.69283 0.27004 -0.71
O -0.74810 -1.60234 0.97122 -0.24
C -1.20250 -2.14521 -0.29274 -0.79
H -0.90768 2.40626 0.67062 -0.01
H -1.19867 2.52721 -1.07370 0.19
H 0.51975 2.27173 -0.29311 0.25
H 3.13525 -1.51282 0.57816 0.19
H 2.13540 -2.10449 -0.74009 0.18
H 1.65277 -2.41242 0.95218 0.31
H -1.91274 -1.47868 -0.77666 0.26
H -1.69114 -3.04789 0.06803 0.40
H -0.37488 -2.35797 -0.96861 0.09
C -3.72636 2.52571 2.00681 -0.75
O -3.12031 1.28204 2.32853 0.33
P -4.00039 0.11927 3.02057 0.56
O -5.42315 0.41380 3.11990 -0.76
O -3.75522 -1.13043 1.99177 -0.07
C -4.22869 -2.38352 2.42771 -0.86
O -3.21255 -0.28500 4.35340 -0.32
C -1.89410 -0.81505 4.39317 -0.13
H -3.97750 3.11351 2.88857 0.32
H -4.52979 2.35880 1.28942 0.33
H -3.02417 3.17095 1.47396 0.18
H -3.90711 -3.08323 1.65351 0.24
H -5.32096 -2.44125 2.46313 0.30
H -3.87585 -2.70760 3.41004 0.35
H -1.13613 -0.05411 4.21502 -0.02
H -1.65545 -1.56150 3.63018 -0.01
H -1.74663 -1.29417 5.35787 0.41
C 0.59780 -5.51069 0.53663 -0.37
O 1.15977 -5.29425 1.80702 -0.50
H 1.27116 -6.11328 -0.07532 0.30
H -0.35403 -6.04888 0.53831 0.29
H 0.47647 -4.60230 -0.06504 -0.01
H 0.50290 -4.83939 2.34262 0.30
C 0.41378 3.31500 4.72507 -0.70
O -0.02072 2.95908 3.44302 -0.38
H 0.15825 4.36255 4.89857 0.26
H -0.11948 2.75590 5.50103 0.27
H 1.48783 3.27277 4.93187 0.26
H 0.05440 2.01257 3.24784 0.46
C 3.56852 1.80817 1.40908 -0.27
O 3.18107 3.16602 1.51576 -0.50
H 3.30450 1.36569 2.37475 0.20
H 3.04367 1.24798 0.63484 -0.12
H 4.65374 1.68215 1.36375 0.42
H 3.87837 3.72937 1.17447 0.27
C -3.37248 5.93147 -1.49325 -0.25
O -3.52288 6.09408 -2.89462 -0.51
H -4.32718 6.02309 -0.97287 0.27
H -2.89816 4.97391 -1.26184 -0.04
H -2.71256 6.69219 -1.06831 0.24
H -4.46790 6.09409 -3.05679 0.31
C 5.43606 -0.85439 -1.76012 -0.36
O 5.48710 -1.95673 -0.87768 -0.53
H 4.94688 -1.14989 -2.68751 0.08
H 4.99246 0.04646 -1.32828 0.12
H 6.47848 -0.65852 -2.04407 0.41
H 5.97552 -1.69777 -0.09237 0.30

85
Properties=species:S:1:pos:R:3:mulliken_charge:R:1 method="wB97M-V/def2-TZVPD" total_energy_ev=-102832.714 e_homo_ev=-1.22 lumo_ev=3.2 charge=-2
C 0.06164 3.50554 -4.09408 -1.43
____________

**Outcome**
O -3.12031 1.28204 2.32853 0.33
P -4.00039 0.11927 3.02057 0.56
O -5.42315 0.41380 3.11990 -0.76
O -3.75522 -1.13043 1.99177 -0.07
C -4.22869 -2.38352 2.42771 -0.86
O -3.21255 -0.28500 4.35340 -0.32
C -1.89410 -0.81505 4.39317 -0.13
H -3.97750 3.11351 2.88857 0.32
H -4.52979 2.35880 1.28942 0.33
H -3.02417 3.17095 1.47396 0.18
H -3.90711 -3.08323 1.65351 0.24
H -5.32096 -2.44125 2.46313 0.30
H -3.87585 -2.70760 3.41004 0.35
H -1.13613 -0.05411 4.21502 -0.02
H -1.65545 -1.56150 3.63018 -0.01
H -1.74663 -1.29417 5.35787 0.41
C 0.59780 -5.51069 0.53663 -0.37
O 1.15977 -5.29425 1.80702 -0.50
H 1.27116 -6.11328 -0.07532 0.30
H -0.35403 -6.04888 0.53831 0.29
H 0.47647 -4.60230 -0.06504 -0.01
H 0.50290 -4.83939 2.34262 0.30
C 0.41378 3.31500 4.72507 -0.70
O -0.02072 2.95908 3.44302 -0.38
H 0.15825 4.36255 4.89857 0.26
H -0.11948 2.75590 5.50103 0.27
H 1.48783 3.27277 4.93187 0.26
H 0.05440 2.01257 3.24784 0.46
C 3.56852 1.80817 1.40908 -0.27
O 3.18107 3.16602 1.51576 -0.50
H 3.30450 1.36569 2.37475 0.20
H 3.04367 1.24798 0.63484 -0.12
H 4.65374 1.68215 1.36375 0.42
H 3.87837 3.72937 1.17447 0.27
C -3.37248 5.93147 -1.49325 -0.25
O -3.52288 6.09408 -2.89462 -0.51
H -4.32718 6.02309 -0.97287 0.27
H -2.89816 4.97391 -1.26184 -0.04
H -2.71256 6.69219 -1.06831 0.24
H -4.46790 6.09409 -3.05679 0.31
C 5.43606 -0.85439 -1.76012 -0.36
O 5.48710 -1.95673 -0.87768 -0.53
H 4.94688 -1.14989 -2.68751 0.08
H 4.99246 0.04646 -1.32828 0.12
H 6.47848 -0.65852 -2.04407 0.41
H 5.97552 -1.69777 -0.09237 0.30

85
Properties=species:S:1:pos:R:3:mulliken_charge:R:1 method="wB97M-V/def2-TZVPD" total_energy_ev=-102832.714 e_homo_ev=-1.22 lumo_ev=3.2 charge=-2
C 0.06164 3.50554 -4.09408 -1.43